• Assignment:
What is needed: copy the data below without altering anything.

• Given:
~~~
No. 1
This entry pairs a crystal structure of Tl2PdCl4 with its calculated powder XRD pattern. Radiation: a wavelength of 1.5418 Å. Structure: a PBE-relaxed structure.
Peak positions follow from Bragg's law for the DFT cell and can differ from measured ones.

Main lines, low angle first (2θ from 10° to 90°):
| 2theta | intensity |
| --- | --- |
| 17.47 | 45 |
| 24.80 | 32 |
| 27.46 | 100 |
| 32.73 | 45 |
| 35.36 | 41 |
| 45.35 | 50 |

```
data_Tl2PdCl4
_chemical_formula_sum 'Tl2 Pd1 Cl4'
_cell_length_a 4.227
_cell_length_b 7.180
_cell_length_c 7.178
_cell_angle_alpha 90.00
_cell_angle_beta 90.00
_cell_angle_gamma 90.00
_space_group_name_H-M_alt 'P 1'
_space_group_IT_number 1
loop_
_space_group_symop_operation_xyz
'x,y,z'
loop_
_atom_site_label
_atom_site_type_symbol
_atom_site_fract_x
_atom_site_fract_y
_atom_site_fract_z
Tl1 Tl 0.000 0.000 0.000
Tl2 Tl 0.000 0.500 0.499
Pd1 Pd 0.500 0.000 0.501
Cl1 Cl 0.500 0.229 0.272
Cl2 Cl 0.500 0.229 0.730
Cl3 Cl 0.500 0.771 0.272
Cl4 Cl 0.500 0.771 0.730
```

No. 2
This entry pairs a crystal structure of TmPd3Cl with its calculated powder XRD pattern. Radiation: a wavelength of 1.5418 Å. Structure: a PBE-relaxed structure.
Peak positions follow from Bragg's law for the DFT cell and can differ from measured ones.

Main lines, low angle first (2θ from 10° to 90°):
| 2theta | intensity |
| --- | --- |
| 27.06 | 11 |
| 33.31 | 100 |
| 38.65 | 66 |
| 55.81 | 45 |
| 66.56 | 40 |
| 69.94 | 15 |

```
data_TmPd3Cl
_chemical_formula_sum 'Tm1 Pd3 Cl1'
_cell_length_a 4.659
_cell_length_b 4.659
_cell_length_c 4.659
_cell_angle_alpha 90.00
_cell_angle_beta 90.00
_cell_angle_gamma 90.00
_space_group_name_H-M_alt 'P 1'
_space_group_IT_number 1
loop_
_space_group_symop_operation_xyz
'x,y,z'
loop_
_atom_site_label
_atom_site_type_symbol
_atom_site_fract_x
_atom_site_fract_y
_atom_site_fract_z
Tm1 Tm 0.000 0.000 0.000
Pd1 Pd 0.000 0.500 0.500
Pd2 Pd 0.500 0.000 0.500
Pd3 Pd 0.500 0.500 0.000
Cl1 Cl 0.500 0.500 0.500
```

No. 3
This entry pairs a crystal structure of PmSCl with its calculated powder XRD pattern. Radiation: a wavelength of 1.5418 Å. Structure: a PBE-relaxed structure.
Peak positions follow from Bragg's law for the DFT cell and can differ from measured ones.

Main lines, low angle first (2θ from 10° to 90°):
| 2theta | intensity |
| --- | --- |
| 14.58 | 51 |
| 20.81 | 100 |
| 24.47 | 98 |
| 27.13 | 38 |
| 33.15 | 56 |
| 37.61 | 66 |

```
data_PmSCl
_chemical_formula_sum 'Pm4 S4 Cl4'
_cell_length_a 7.991
_cell_length_b 7.018
_cell_length_c 8.699
_cell_angle_alpha 59.99
_cell_angle_beta 49.51
_cell_angle_gamma 70.50
_space_group_name_H-M_alt 'P 1'
_space_group_IT_number 1
loop_
_space_group_symop_operation_xyz
'x,y,z'
loop_
_atom_site_label
_atom_site_type_symbol
_atom_site_fract_x
_atom_site_fract_y
_atom_site_fract_z
Pm1 Pm 0.172 0.828 0.285
Pm2 Pm 0.535 0.965 0.422
Pm3 Pm 0.828 0.172 0.715
Pm4 Pm 0.965 0.535 0.078
S1 S 0.123 0.818 0.635
S2 S 0.615 0.826 0.127
S3 S 0.818 0.123 0.424
S4 S 0.826 0.615 0.432
Cl1 Cl 0.244 0.346 0.479
Cl2 Cl 0.320 0.771 0.904
Cl3 Cl 0.346 0.244 0.930
Cl4 Cl 0.771 0.320 0.006
```

No. 4
This entry pairs a crystal structure of Pm7SiCl12 with its calculated powder XRD pattern. Radiation: a wavelength of 1.5418 Å. Structure: a PBE-relaxed structure.
Peak positions follow from Bragg's law for the DFT cell and can differ from measured ones.

Main lines, low angle first (2θ from 10° to 90°):
| 2theta | intensity |
| --- | --- |
| 11.45 | 21 |
| 12.20 | 55 |
| 27.16 | 26 |
| 31.50 | 100 |
| 45.07 | 35 |
| 45.24 | 35 |

```
data_Pm7SiCl12
_chemical_formula_sum 'Pm7 Si1 Cl12'
_cell_length_a 8.990
_cell_length_b 8.990
_cell_length_c 8.990
_cell_angle_alpha 107.57
_cell_angle_beta 107.57
_cell_angle_gamma 107.57
_space_group_name_H-M_alt 'P 1'
_space_group_IT_number 1
loop_
_space_group_symop_operation_xyz
'x,y,z'
loop_
_atom_site_label
_atom_site_type_symbol
_atom_site_fract_x
_atom_site_fract_y
_atom_site_fract_z
Pm1 Pm 0.000 0.000 0.000
Pm2 Pm 0.168 0.469 0.386
~~~

• Here it is:
No. 1
This entry pairs a crystal structure of Tl2PdCl4 with its calculated powder XRD pattern. Radiation: a wavelength of 1.5418 Å. Structure: a PBE-relaxed structure.
Peak positions follow from Bragg's law for the DFT cell and can differ from measured ones.

Main lines, low angle first (2θ from 10° to 90°):
| 2theta | intensity |
| --- | --- |
| 17.47 | 45 |
| 24.80 | 32 |
| 27.46 | 100 |
| 32.73 | 45 |
| 35.36 | 41 |
| 45.35 | 50 |

```
data_Tl2PdCl4
_chemical_formula_sum 'Tl2 Pd1 Cl4'
_cell_length_a 4.227
_cell_length_b 7.180
_cell_length_c 7.178
_cell_angle_alpha 90.00
_cell_angle_beta 90.00
_cell_angle_gamma 90.00
_space_group_name_H-M_alt 'P 1'
_space_group_IT_number 1
loop_
_space_group_symop_operation_xyz
'x,y,z'
loop_
_atom_site_label
_atom_site_type_symbol
_atom_site_fract_x
_atom_site_fract_y
_atom_site_fract_z
Tl1 Tl 0.000 0.000 0.000
Tl2 Tl 0.000 0.500 0.499
Pd1 Pd 0.500 0.000 0.501
Cl1 Cl 0.500 0.229 0.272
Cl2 Cl 0.500 0.229 0.730
Cl3 Cl 0.500 0.771 0.272
Cl4 Cl 0.500 0.771 0.730
```

No. 2
This entry pairs a crystal structure of TmPd3Cl with its calculated powder XRD pattern. Radiation: a wavelength of 1.5418 Å. Structure: a PBE-relaxed structure.
Peak positions follow from Bragg's law for the DFT cell and can differ from measured ones.

Main lines, low angle first (2θ from 10° to 90°):
| 2theta | intensity |
| --- | --- |
| 27.06 | 11 |
| 33.31 | 100 |
| 38.65 | 66 |
| 55.81 | 45 |
| 66.56 | 40 |
| 69.94 | 15 |

```
data_TmPd3Cl
_chemical_formula_sum 'Tm1 Pd3 Cl1'
_cell_length_a 4.659
_cell_length_b 4.659
_cell_length_c 4.659
_cell_angle_alpha 90.00
_cell_angle_beta 90.00
_cell_angle_gamma 90.00
_space_group_name_H-M_alt 'P 1'
_space_group_IT_number 1
loop_
_space_group_symop_operation_xyz
'x,y,z'
loop_
_atom_site_label
_atom_site_type_symbol
_atom_site_fract_x
_atom_site_fract_y
_atom_site_fract_z
Tm1 Tm 0.000 0.000 0.000
Pd1 Pd 0.000 0.500 0.500
Pd2 Pd 0.500 0.000 0.500
Pd3 Pd 0.500 0.500 0.000
Cl1 Cl 0.500 0.500 0.500
```

No. 3
This entry pairs a crystal structure of PmSCl with its calculated powder XRD pattern. Radiation: a wavelength of 1.5418 Å. Structure: a PBE-relaxed structure.
Peak positions follow from Bragg's law for the DFT cell and can differ from measured ones.

Main lines, low angle first (2θ from 10° to 90°):
| 2theta | intensity |
| --- | --- |
| 14.58 | 51 |
| 20.81 | 100 |
| 24.47 | 98 |
| 27.13 | 38 |
| 33.15 | 56 |
| 37.61 | 66 |

```
data_PmSCl
_chemical_formula_sum 'Pm4 S4 Cl4'
_cell_length_a 7.991
_cell_length_b 7.018
_cell_length_c 8.699
_cell_angle_alpha 59.99
_cell_angle_beta 49.51
_cell_angle_gamma 70.50
_space_group_name_H-M_alt 'P 1'
_space_group_IT_number 1
loop_
_space_group_symop_operation_xyz
'x,y,z'
loop_
_atom_site_label
_atom_site_type_symbol
_atom_site_fract_x
_atom_site_fract_y
_atom_site_fract_z
Pm1 Pm 0.172 0.828 0.285
Pm2 Pm 0.535 0.965 0.422
Pm3 Pm 0.828 0.172 0.715
Pm4 Pm 0.965 0.535 0.078
S1 S 0.123 0.818 0.635
S2 S 0.615 0.826 0.127
S3 S 0.818 0.123 0.424
S4 S 0.826 0.615 0.432
Cl1 Cl 0.244 0.346 0.479
Cl2 Cl 0.320 0.771 0.904
Cl3 Cl 0.346 0.244 0.930
Cl4 Cl 0.771 0.320 0.006
```

No. 4
This entry pairs a crystal structure of Pm7SiCl12 with its calculated powder XRD pattern. Radiation: a wavelength of 1.5418 Å. Structure: a PBE-relaxed structure.
Peak positions follow from Bragg's law for the DFT cell and can differ from measured ones.

Main lines, low angle first (2θ from 10° to 90°):
| 2theta | intensity |
| --- | --- |
| 11.45 | 21 |
| 12.20 | 55 |
| 27.16 | 26 |
| 31.50 | 100 |
| 45.07 | 35 |
| 45.24 | 35 |

```
data_Pm7SiCl12
_chemical_formula_sum 'Pm7 Si1 Cl12'
_cell_length_a 8.990
_cell_length_b 8.990
_cell_length_c 8.990
_cell_angle_alpha 107.57
_cell_angle_beta 107.57
_cell_angle_gamma 107.57
_space_group_name_H-M_alt 'P 1'
_space_group_IT_number 1
loop_
_space_group_symop_operation_xyz
'x,y,z'
loop_
_atom_site_label
_atom_site_type_symbol
_atom_site_fract_x
_atom_site_fract_y
_atom_site_fract_z
Pm1 Pm 0.000 0.000 0.000
Pm2 Pm 0.168 0.469 0.386